=====
1.
First-principles (PBE) data for a relaxed structure of Ga4Bi3N, as listed in the Materials Project database.

Values from the calculation:
* spin magnetization: 0.00 μB per formula unit
* energy relative to the elements: 0.16 eV per atom
* ρ: 7.0 g cm⁻³
* crystal system: orthorhombic

Unit cell a=4.188 b=8.766 c=11.863 alpha=90.00 beta=90.00 gamma=90.00
Space group Amm2 (No. 38)
Asymmetric unit:
Ga: 0.000 0.000 0.000
Ga: 0.000 0.000 0.441
Ga: 0.500 0.184 0.177
Bi: 0.000 0.239 0.820
Bi: 0.500 0.000 0.593
N: 0.500 0.000 0.079

***

2.
First-principles (PBE) data for a relaxed structure of GaBi12O20, as listed in the Materials Project database.

Values from the calculation:
* spin magnetization: 0.03 μB per formula unit
* energy relative to the elements: -1.65 eV per atom
* ρ: 9.0 g cm⁻³
* crystal system: cubic

Unit cell a=10.240 b=10.240 c=10.240 alpha=90.00 beta=90.00 gamma=90.00
Space group I23 (No. 197)
Asymmetric unit:
Ga: 0.000 0.000 0.000
Bi: 0.011 0.176 0.316
O: 0.012 0.369 0.751
O: 0.107 0.107 0.893
O: 0.192 0.192 0.192

***

3.
First-principles (PBE) data for a relaxed structure of Ga4Bi2O9, as listed in the Materials Project database.

Values from the calculation:
* energy relative to the elements: -2.07 eV per atom
* ρ: 6.9 g cm⁻³
* offset from the most stable computed form: 0.0 meV/atom
* crystal system: orthorhombic

Unit cell a=8.039 b=8.445 c=6.005 alpha=90.00 beta=90.00 gamma=90.00
Space group Pbam (No. 55)
Asymmetric unit:
Ga: 0.000 0.000 0.241
Ga: 0.149 0.338 0.000
Bi: 0.177 0.673 0.500
O: 0.000 0.500 0.000
O: 0.127 0.210 0.256
O: 0.133 0.908 0.000
O: 0.150 0.936 0.500


The following is a DFT calculation (PBE) of crystalline CaAl2Sn2 at its relaxed geometry.

Values from the calculation:
Space group ... P-3m1
Total moment ... 0.00 Bohr magnetons per cell
Calculated formation energy ... -20.4 kJ/mol of atoms

POSCAR file:
```
CaAl2Sn2
1.0
2.268 -3.929 0.000
2.268 3.929 0.000
0.000 0.000 7.549
Ca Al Sn
1 2 2
direct
0.000 0.000 0.000 Ca
0.667 0.333 0.371 Al
0.333 0.667 0.629 Al
0.667 0.333 0.745 Sn
0.333 0.667 0.255 Sn
```

***

The following is a DFT calculation (PBE) of crystalline K4MgTi2O6 at its relaxed geometry.

Values from the calculation:
Space group ... C2
Energy relative to the lowest polymorph listed for this composition ... 40 meV/atom
Total moment ... 0.00 Bohr magnetons per cell
Calculated formation energy ... -230.1 kJ/mol of atoms

POSCAR file:
```
K4MgTi2O6
1.0
-1.196 5.241 -1.781
-6.197 -1.496 2.844
4.458 1.700 5.096
K Mg Ti O
4 1 2 6
direct
0.164 0.521 0.941 K
0.289 0.870 0.512 K
0.711 0.488 0.130 K
0.836 0.059 0.479 K
0.500 0.436 0.564 Mg
0.728 0.931 0.931 Ti
0.272 0.069 0.069 Ti
0.646 0.732 0.676 O
0.354 0.324 0.268 O
0.500 0.104 0.896 O
0.000 0.883 0.117 O
0.000 0.108 0.892 O
0.500 0.883 0.117 O
```


1.
{"formula": "In", "functional": "r²SCAN", "state": "optimized geometry", "cell": [[-0.1658, 2.4507, -2.2565], [-1.9301, -2.7007, -0.3262], [-3.9417, 2.4594, 2.9606]], "species": ["In", "In"], "frac_coords": [[0.3333, 0.6667, 0.2500], [0.6667, 0.3333, 0.7500]], "crystal_system": "hexagonal", "de_polymorph_mev_per_atom": 7, "magmom_total_mub_per_fu": 0.0}

2.
=====
Next, find the line further up that holds "GaBi12O20, as", then write out that line and all lines after it there.
First-principles (PBE) data for a relaxed structure of GaBi12O20, as listed in the Materials Project database.

Values from the calculation:
* spin magnetization: 0.03 μB per formula unit
* energy relative to the elements: -1.65 eV per atom
* ρ: 9.0 g cm⁻³
* crystal system: cubic

Unit cell a=10.240 b=10.240 c=10.240 alpha=90.00 beta=90.00 gamma=90.00
Space group I23 (No. 197)
Asymmetric unit:
Ga: 0.000 0.000 0.000
Bi: 0.011 0.176 0.316
O: 0.012 0.369 0.751
O: 0.107 0.107 0.893
O: 0.192 0.192 0.192

***

3.
First-principles (PBE) data for a relaxed structure of Ga4Bi2O9, as listed in the Materials Project database.

Values from the calculation:
* energy relative to the elements: -2.07 eV per atom
* ρ: 6.9 g cm⁻³
* offset from the most stable computed form: 0.0 meV/atom
* crystal system: orthorhombic

Unit cell a=8.039 b=8.445 c=6.005 alpha=90.00 beta=90.00 gamma=90.00
Space group Pbam (No. 55)
Asymmetric unit:
Ga: 0.000 0.000 0.241
Ga: 0.149 0.338 0.000
Bi: 0.177 0.673 0.500
O: 0.000 0.500 0.000
O: 0.127 0.210 0.256
O: 0.133 0.908 0.000
O: 0.150 0.936 0.500


The following is a DFT calculation (PBE) of crystalline CaAl2Sn2 at its relaxed geometry.

Values from the calculation:
Space group ... P-3m1
Total moment ... 0.00 Bohr magnetons per cell
Calculated formation energy ... -20.4 kJ/mol of atoms

POSCAR file:
```
CaAl2Sn2
1.0
2.268 -3.929 0.000
2.268 3.929 0.000
0.000 0.000 7.549
Ca Al Sn
1 2 2
direct
0.000 0.000 0.000 Ca
0.667 0.333 0.371 Al
0.333 0.667 0.629 Al
0.667 0.333 0.745 Sn
0.333 0.667 0.255 Sn
```

***

The following is a DFT calculation (PBE) of crystalline K4MgTi2O6 at its relaxed geometry.

Values from the calculation:
Space group ... C2
Energy relative to the lowest polymorph listed for this composition ... 40 meV/atom
Total moment ... 0.00 Bohr magnetons per cell
Calculated formation energy ... -230.1 kJ/mol of atoms

POSCAR file:
```
K4MgTi2O6
1.0
-1.196 5.241 -1.781
-6.197 -1.496 2.844
4.458 1.700 5.096
K Mg Ti O
4 1 2 6
direct
0.164 0.521 0.941 K
0.289 0.870 0.512 K
0.711 0.488 0.130 K
0.836 0.059 0.479 K
0.500 0.436 0.564 Mg
0.728 0.931 0.931 Ti
0.272 0.069 0.069 Ti
0.646 0.732 0.676 O
0.354 0.324 0.268 O
0.500 0.104 0.896 O
0.000 0.883 0.117 O
0.000 0.108 0.892 O
0.500 0.883 0.117 O
```


1.
{"formula": "In", "functional": "r²SCAN", "state": "optimized geometry", "cell": [[-0.1658, 2.4507, -2.2565], [-1.9301, -2.7007, -0.3262], [-3.9417, 2.4594, 2.9606]], "species": ["In", "In"], "frac_coords": [[0.3333, 0.6667, 0.2500], [0.6667, 0.3333, 0.7500]], "crystal_system": "hexagonal", "de_polymorph_mev_per_atom": 7, "magmom_total_mub_per_fu": 0.0}

2.